In our modern age, we are exposed to so many avenues and sources to communicate with others around the world. So where does all this information go? Can someone trace me or enter my computer when I don’t know?
-- Calculated crystals that have nothing to do with the piece --
........
YAlCo2O: optimized geometry, PBE with a Hubbard U.

Cell: 4.6654 4.6654 5.8378 Å, 90.00 90.00 90.00°
Last column: nearest neighbours and their distance in Å.
Positions (direct):
Y  0.0000  0.0000  0.0000  4 Co 2.33
Al  0.0000  0.0000  0.5000  2 Y 2.92
Co  0.0000  0.5000  0.0000  2 Y 2.33
Co  0.5000  0.0000  0.0000  2 Y 2.33
O  0.5000  0.5000  0.5000  4 Al 3.30

Summary:
- V: 25.4 Å³/atom
- Total DFT energy (no corrections): -3.1833 eV/atom
- SG: No. 123

* * * * *

No. 1
{
  "formula": "TbPr2Sn9",
  "functional": "PBE",
  "state": "optimized geometry",
  "e_form_ev_per_atom": -0.482,
  "spacegroup": "P4/mmm (123)",
  "final_energy_ev_per_atom": -4.67,
  "cell": [[-4.656, -0.777, -0.558], [0.829, -1.897, -4.279], [1.446, -13.006, 6.046]],
  "species": ["Tb", "Pr", "Pr", "Sn", "Sn", "Sn", "Sn", "Sn", "Sn", "Sn", "Sn", "Sn"],
  "fractional_positions": [[0.000, 0.000, 0.000], [0.000, 0.000, 0.331], [0.000, 0.000, 0.669], [0.500, 0.500, 0.000], [0.500, 0.500, 0.331], [0.500, 0.500, 0.669], [0.500, 0.000, 0.162], [0.500, 0.000, 0.500], [0.500, 0.000, 0.838], [0.000, 0.500, 0.162], [0.000, 0.500, 0.500], [0.000, 0.500, 0.838]]
}

=====

No. 2
{
  "formula": "Ho2ZnNi9",
  "functional": "PBE",
  "state": "optimized geometry",
  "e_form_ev_per_atom": -0.225,
  "spacegroup": "R-3m (166)",
  "final_energy_ev_per_atom": -5.43,
  "cell": [[-2.176, 1.723, 4.023], [2.294, -0.231, 4.309], [3.274, 7.702, 1.442]],
  "species": ["Ho", "Ho", "Zn", "Ni", "Ni", "Ni", "Ni", "Ni", "Ni", "Ni", "Ni", "Ni"],
  "fractional_positions": [[0.865, 0.865, 0.404], [0.135, 0.135, 0.596], [0.000, 0.000, 0.000], [0.667, 0.667, 0.999], [0.333, 0.333, 0.001], [0.500, 0.500, 0.500], [0.418, 0.418, 0.245], [0.920, 0.418, 0.245], [0.418, 0.920, 0.245], [0.582, 0.582, 0.755], [0.582, 0.080, 0.755], [0.080, 0.582, 0.755]]
}

=====

No. 3
{
  "formula": "LiSi2Rh",
  "functional": "PBE",
  "state": "optimized geometry",
  "e_form_raw_ev_per_atom": -0.31,
  "spacegroup": "C2/m (12)",
  "final_energy_ev_per_atom": -5.33,
  "cell": [[5.754, 0.001, 0.002], [-2.193, 3.914, -0.011], [1.367, 0.761, 2.309]],
  "species": ["Li", "Rh", "Si", "Si"],
  "fractional_positions": [[0.000, 0.500, 0.500], [0.500, 0.500, 0.000], [0.000, 0.000, 0.000], [0.500, 0.000, 0.500]]
}

=====

No. 4
{
  "formula": "Cd2TeI2",
  "functional": "PBE",
  "state": "optimized geometry",
  "e_form_raw_ev_per_atom": -0.38,
  "spacegroup": "C2/m (12)",
  "final_energy_ev_per_atom": -1.99,
  "cell": [[7.379, 0.000, 0.000], [-3.690, 6.966, 0.033], [0.000, -3.693, 8.503]],
  "species": ["Cd", "Cd", "Cd", "Cd", "Te", "Te", "I", "I", "I", "I"],
  "fractional_positions": [[0.150, 0.300, 0.656], [0.850, 0.700, 0.344], [0.563, 0.127, 0.336], [0.437, 0.873, 0.664], [0.347, 0.694, 0.873], [0.653, 0.306, 0.127], [0.647, 0.294, 0.677], [0.353, 0.706, 0.323], [0.950, 0.900, 0.683], [0.050, 0.100, 0.317]]
}

=====

No. 5
{
  "formula": "K2NaUBr6",
  "functional": "PBE",
  "state": "optimized geometry",
  "e_form_raw_ev_per_atom": -1.54,
........
These are some of the questions you may have thought or be thinking about right now. So let’s dive in and explore some of the common threats that are around.

- Malware & Viruses: Best described as malicious software that enters your computer, usually through websites, emails or browsing online. You may find that you only do online shopping and general browsing on your computer and without even knowing you may have Malware on your PC. Malware & Viruses has different varieties and strains, some of which have been around for many years.
- Worm Strain: Worm viruses or malware is typically a form of malicious software that is designed to replicate itself and spread from computer to computer without the end-user even knowing. Modern day Worm infections will broadcast via email and send out messages to all your contacts. This can cause an ongoing effect to the point where even your email provider may disable your email account to stop the infection. This can create a lot of work to repair. Firstly by removing the infection from your PC. Secondly, Possibly restoring your email service and telling all your contacts not to open the email sent out from the Worms activity. Thus preventing the Virus/Worm from being shared with any of your contacts.
- Trojan Horses: History or Just legend? These days Trojan or Trojan Horses are real, and have been for many years. These types of viruses will cloak themselves as a genuine file, never being detected by the Operating System running. Trojan category viruses are attained many ways, the most popular is from pirated software or has been known to be received from some websites that are not so genuine. Once you are infected by a Trojan or Trojan Horse, it will or can allow third-party access to certain data on your computer. At this point, Online banking could become compromised, let alone all our login details to the common website used on a day-to-day basis.
- Spyware & Adware: Generally, these two types of malware are similar. Often infect your computer with your knowledge. Sometimes Spyware & Malware can be packaged into a “free program” you have downloaded from the Internet. Once installed on your system, you may experience ads, pop ups while browsing the Internet, report browsing habits and target you for prompt payment of unwanted / fake system security or clean up tools.
- Ransomware – WannaCry: The latest major virus or cyber attack as “broadcasted” to hit the world. If you haven’t heard about Ransomware you are lucky. Ransomware takes the form like a “Worm” virus. However, Ransomware is attained usually via an email attachment that is infected or cloaked as a genuine email from a major company. Upon the Ransomwares initial infection, it encrypts all your files on your PC and any connected storage devices holding them to a ransom fee. This leaves the unsuspected person either having to pay the ransom fee or restoring from the most recent backup of their data, alternatively having to pay an I.T professional to resolve the problem due to its mass destruction and complexity.
- Internet Security: We recommend to always have a subscription to an Internet Security program, but there are many platforms available on today’s market. So, which is the best of the best. We have seen Webroot SecureAnywhere protect from this threat and is a product that many corporate and home users have. We would like to present a link into a Webroot blog that discusses the fight against WannaCry and Ransomware.